Entries =
'''
DFT (PBE-GGA) results for a relaxed Sn2Hg2Ge crystal.

a = 7.453 Å, b = 7.453 Å, c = 4.868 Å
α = 90.00°, β = 90.00°, γ = 90.00°
Space group P4/mbm (No. 127)
Inequivalent atoms, fractional coordinates:
Sn (0.145, 0.355, 0.000) (multiplicity 4)
Hg (0.170, 0.670, 0.500) (multiplicity 4)
Ge (0.000, 0.000, 0.000) (multiplicity 2)

## Properties
The calculation puts the total DFT energy (no corrections) at -2.47 eV/atom. The calculation puts the magnetic moment at 0.0 μB/f.u. As for the formation energy: 0.179 eV/atom. As for the density: 8.737 g/cm3. As for the relative energy among the computed polymorphs: 0 meV/atom.

---

DFT (PBE-GGA) results for a relaxed SnHgGe3 crystal.

a = 5.223 Å, b = 5.223 Å, c = 5.223 Å
α = 90.00°, β = 90.00°, γ = 90.00°
Space group Pm-3m (No. 221)
Inequivalent atoms, fractional coordinates:
Sn (0.000, 0.000, 0.000) (multiplicity 1)
Hg (0.500, 0.500, 0.500) (multiplicity 1)
Ge (0.000, 0.500, 0.500) (multiplicity 3)

## Properties
The calculation puts the total DFT energy (no corrections) at -2.82 eV/atom. The calculation puts the magnetic moment at 0.0 μB/f.u. As for the formation energy: 0.816 eV/atom. As for the density: 6.260 g/cm3. As for the relative energy among the computed polymorphs: 0 meV/atom.

---

DFT (PBE-GGA) results for a relaxed Sn2HgGe2 crystal.

a = 5.152 Å, b = 5.152 Å, c = 9.828 Å
α = 90.00°, β = 90.00°, γ = 90.00°
Space group I4/mmm (No. 139)
Inequivalent atoms, fractional coordinates:
Sn (0.000, 0.500, 0.250) (multiplicity 4)
Hg (0.000, 0.000, 0.000) (multiplicity 2)
Ge (0.000, 0.000, 0.373) (multiplicity 4)

## Properties
The calculation puts the total DFT energy (no corrections) at -3.37 eV/atom. The calculation puts the magnetic moment at 0.0 μB/f.u. As for the formation energy: 0.137 eV/atom. As for the density: 7.426 g/cm3. As for the relative energy among the computed polymorphs: 0 meV/atom.

---

DFT (PBE-GGA) results for a relaxed Sn2Hg2Ge crystal.

a = 3.984 Å, b = 3.984 Å, c = 17.619 Å
α = 90.00°, β = 90.00°, γ = 90.00°
Space group I4/mmm (No. 139)
Inequivalent atoms, fractional coordinates:
Sn (0.000, 0.000, 0.086) (multiplicity 4)
Hg (0.000, 0.500, 0.250) (multiplicity 4)
Ge (0.000, 0.000, 0.500) (multiplicity 2)

## Properties
The calculation puts the total DFT energy (no corrections) at -2.41 eV/atom. The calculation puts the magnetic moment at 0.0 μB/f.u. As for the formation energy: 0.232 eV/atom. As for the density: 8.448 g/cm3. As for the relative energy among the computed polymorphs: 53 meV/atom.

=====

Record 1
# HgPtOF2 (GGA-PBE, optimized geometry)
data_HgPtOF2
_space_group_name_H-M_alt 'P 4/m m m'
_space_group_IT_number 123
_space_group_name_Hall '-P 4 2'
_cell_length_a 4.421
_cell_length_b 4.421
_cell_length_c 4.274
_cell_angle_alpha 90.00
_cell_angle_beta 90.00
_cell_angle_gamma 90.00
loop_
_atom_site_label
_atom_site_type_symbol
_atom_site_fract_x
_atom_site_fract_y
_atom_site_fract_z
Hg1 Hg 0.000 0.000 0.000
Pt1 Pt 0.500 0.500 0.500
O1 O 0.000 0.000 0.500
F1 F 0.000 0.500 0.000
# * offset from the most stable computed form: 17.68 kcal/mol of atoms
# * calculated volume: 83.54 Å³/cell
# * Fermi-level density of states: 1.036 states/eV per atom
# * uncorrected formation energy: 0.23 eV/atom

***

Record 2
# CePm2Pr3As6 (GGA-PBE, optimized geometry)
data_CePm2Pr3As6
_space_group_name_H-M_alt 'C 1 2/m 1'
_space_group_IT_number 12
_cell_length_a 7.390
_cell_length_b 12.798
_cell_length_c 7.396
_cell_angle_alpha 90.00
_cell_angle_beta 109.45
_cell_angle_gamma 90.00
loop_
_space_group_symop_operation_xyz
'x,y,z'
'-x,-y,-z'
'-x,y,-z'
'x,-y,z'
'x+1/2,y+1/2,z'
'-x+1/2,-y+1/2,-z'
'-x+1/2,y+1/2,-z'
'x+1/2,-y+1/2,z'
loop_
_atom_site_label
_atom_site_type_symbol
_atom_site_fract_x
_atom_site_fract_y
_atom_site_fract_z
Ce1 Ce 0.000 0.000 0.000
Pm1 Pm 0.000 0.334 0.000
Pr1 Pr 0.000 0.167 0.500
Pr2 Pr 0.000 0.500 0.500
As1 As 0.246 0.165 0.244
As2 As 0.248 0.000 0.756
# * ΔH_f (0 K): -1505 meV per atom
# * calculated volume: 659.62 Å³/cell
'''

Work order =
Your job: filter the contents further above: keep the lines with the word "Pt1".

Done =
Pt1 Pt 0.500 0.500 0.500